To do:
What is needed: reproduce the entries further down character by character.
Material:
┌──
C36H40FeN5O3 as an isolated structure, computed with the ωB97M-V functional and the def2-TZVPD basis.

Values from the calculation:
**Total charge**: +1
**E_LUMO (alpha / beta)**: -1.80 / -1.97 eV
**Energy above the lowest of the compared OMol25 structures with the same formula, charge and spin**: 0.0 kcal per mole
**Gap between HOMO and LUMO (alpha / beta)**: 8.5 / 8.3 eV

Geometry (Å):
Fe  -0.71  0.78  1.51
C  2.22  1.56  3.75
C  0.79  1.14  3.56
C  -0.21  2.10  3.49
C  -1.58  1.75  3.43
C  -2.64  2.81  3.38
C  -1.90  0.40  3.40
C  -0.91  -0.60  3.42
C  -1.32  -2.05  3.36
C  0.42  -0.21  3.50
H  2.61  2.06  2.86
H  2.85  0.69  3.95
H  2.30  2.24  4.59
H  0.08  3.15  3.51
H  -2.92  3.04  2.35
H  -2.30  3.74  3.85
H  -3.55  2.48  3.89
H  -2.93  0.09  3.36
H  -1.57  -2.32  2.34
H  -2.20  -2.22  3.97
H  -0.52  -2.70  3.72
H  1.20  -0.96  3.55
C  2.15  0.20  -4.06
O  2.97  -0.91  -3.69
C  2.31  -2.11  -3.56
C  2.48  -3.10  -4.52
C  1.85  -4.33  -4.36
C  1.07  -4.57  -3.24
C  0.93  -3.59  -2.26
C  1.54  -2.35  -2.42
N  1.51  -1.32  -1.46
C  0.49  -0.94  -0.64
N  -0.72  -1.45  -0.92
C  -1.99  -1.11  -0.40
C  -2.18  -0.17  0.61
C  -3.53  0.13  0.87
C  -4.59  -0.48  0.22
C  -4.35  -1.43  -0.77
C  -3.05  -1.74  -1.08
O  -2.69  -2.59  -2.10
C  -3.34  -3.86  -2.10
N  0.69  -0.10  0.35
C  2.03  0.37  0.50
C  2.30  1.66  0.01
C  3.55  2.24  0.09
C  4.58  1.53  0.68
C  4.35  0.26  1.17
C  3.09  -0.34  1.09
O  3.08  -1.59  1.66
C  2.08  -2.58  1.48
H  2.74  0.83  -4.72
H  1.87  0.78  -3.17
H  1.25  -0.13  -4.57
H  3.10  -2.88  -5.38
H  1.97  -5.09  -5.11
H  0.59  -5.53  -3.11
H  0.36  -3.81  -1.37
H  2.37  -0.80  -1.37
H  -0.78  -2.02  -1.75
H  -3.78  0.89  1.61
H  -5.61  -0.20  0.46
H  -5.17  -1.89  -1.30
H  -4.42  -3.76  -2.22
H  -3.13  -4.40  -1.18
H  -2.94  -4.40  -2.96
H  1.48  2.18  -0.47
H  3.71  3.23  -0.31
H  5.57  1.96  0.75
H  5.14  -0.31  1.63
H  2.29  -3.33  2.25
H  2.17  -3.06  0.51
H  1.07  -2.20  1.62
N  -1.11  5.45  -2.63
C  -1.07  4.46  -1.70
C  -0.77  4.72  -0.35
C  -0.73  3.68  0.54
N  -0.95  2.40  0.23
C  -1.24  2.16  -1.06
C  -1.30  3.12  -2.04
H  -1.04  6.41  -2.35
H  -1.42  5.26  -3.56
H  -0.58  5.73  -0.01
H  -0.49  3.89  1.57
H  -1.44  1.12  -1.32
H  -1.54  2.84  -3.05

~~~~~

a.
2 unconnected molecules or ions with the total composition C5H14. Source: OMol25; level of theory: ωB97M-V/def2-TZVPD.

Output
SMILES string   CCC.CC
Frontier orbital gap   12.26 eV

Positions of all 19 atoms, in Å:
1 C 0.09 0.17 -1.46
2 C -0.59 -1.12 -1.91
3 C -0.85 1.35 -1.67
4 H 0.20 0.09 -0.38
5 H 1.09 0.31 -1.87
6 H -0.30 -1.41 -2.93
7 H -1.68 -1.03 -1.94
8 H -0.36 2.30 -1.43
9 H -1.26 1.46 -2.67
10 H -0.38 -2.00 -1.29
11 H -1.69 1.30 -0.98
12 C 0.17 0.20 2.71
13 C 1.31 -0.47 1.93
14 H -0.56 -0.58 2.93
15 H 0.49 0.51 3.71
16 H -0.36 0.90 2.06
17 H 2.13 0.19 1.70
18 H 0.87 -0.84 1.00
19 H 1.68 -1.34 2.48

***

b.
2 unconnected molecules or ions with the total composition C5H14. Source: OMol25; level of theory: ωB97M-V/def2-TZVPD.

Output
SMILES string   CCC.CC
Frontier orbital gap   12.17 eV

Positions of all 19 atoms, in Å:
1 C -0.34 0.61 1.54
2 C -1.68 0.98 0.94
3 C -0.27 0.05 2.98
4 H 0.03 -0.13 1.01
5 H 0.44 1.47 1.53
6 H -2.09 1.78 1.54
7 H -2.39 0.15 0.85
8 H -0.31 0.81 3.76
9 H -1.27 -0.59 3.21
10 H -1.55 1.28 -0.07
11 H 0.70 -0.41 3.06
12 C 0.46 -0.93 -2.87
13 C 1.72 -0.51 -2.24
14 H 0.37 -0.73 -3.97
15 H 0.26 -2.06 -2.79
16 H -0.46 -0.28 -2.45
17 H 2.46 -1.33 -2.33
18 H 1.63 -0.43 -1.13
19 H 2.29 0.29 -2.56

***

Short version: b is the least stable of them.

***

a.
2 unconnected molecules or ions with the total composition C5H14. Source: OMol25; level of theory: ωB97M-V/def2-TZVPD.

Output
SMILES string   CCC.CC
Frontier orbital gap   12.20 eV

Positions of all 19 atoms, in Å:
1 C -0.03 -2.57 -0.64
2 C -1.10 -2.14 0.36
3 H -0.45 -2.66 -1.62
4 H 0.72 -1.75 -0.72
5 H 0.58 -3.46 -0.42
6 H -1.29 -1.07 0.28
7 H -0.94 -2.36 1.40
8 H -2.12 -2.49 0.21
9 C 0.85 1.69 0.43
10 C 0.93 1.74 -1.13
11 C -0.53 1.61 1.05
12 H 1.53 0.85 0.64
└──
Done:
C36H40FeN5O3 as an isolated structure, computed with the ωB97M-V functional and the def2-TZVPD basis.

Values from the calculation:
**Total charge**: +1
**E_LUMO (alpha / beta)**: -1.80 / -1.97 eV
**Energy above the lowest of the compared OMol25 structures with the same formula, charge and spin**: 0.0 kcal per mole
**Gap between HOMO and LUMO (alpha / beta)**: 8.5 / 8.3 eV

Geometry (Å):
Fe  -0.71  0.78  1.51
C  2.22  1.56  3.75
C  0.79  1.14  3.56
C  -0.21  2.10  3.49
C  -1.58  1.75  3.43
C  -2.64  2.81  3.38
C  -1.90  0.40  3.40
C  -0.91  -0.60  3.42
C  -1.32  -2.05  3.36
C  0.42  -0.21  3.50
H  2.61  2.06  2.86
H  2.85  0.69  3.95
H  2.30  2.24  4.59
H  0.08  3.15  3.51
H  -2.92  3.04  2.35
H  -2.30  3.74  3.85
H  -3.55  2.48  3.89
H  -2.93  0.09  3.36
H  -1.57  -2.32  2.34
H  -2.20  -2.22  3.97
H  -0.52  -2.70  3.72
H  1.20  -0.96  3.55
C  2.15  0.20  -4.06
O  2.97  -0.91  -3.69
C  2.31  -2.11  -3.56
C  2.48  -3.10  -4.52
C  1.85  -4.33  -4.36
C  1.07  -4.57  -3.24
C  0.93  -3.59  -2.26
C  1.54  -2.35  -2.42
N  1.51  -1.32  -1.46
C  0.49  -0.94  -0.64
N  -0.72  -1.45  -0.92
C  -1.99  -1.11  -0.40
C  -2.18  -0.17  0.61
C  -3.53  0.13  0.87
C  -4.59  -0.48  0.22
C  -4.35  -1.43  -0.77
C  -3.05  -1.74  -1.08
O  -2.69  -2.59  -2.10
C  -3.34  -3.86  -2.10
N  0.69  -0.10  0.35
C  2.03  0.37  0.50
C  2.30  1.66  0.01
C  3.55  2.24  0.09
C  4.58  1.53  0.68
C  4.35  0.26  1.17
C  3.09  -0.34  1.09
O  3.08  -1.59  1.66
C  2.08  -2.58  1.48
H  2.74  0.83  -4.72
H  1.87  0.78  -3.17
H  1.25  -0.13  -4.57
H  3.10  -2.88  -5.38
H  1.97  -5.09  -5.11
H  0.59  -5.53  -3.11
H  0.36  -3.81  -1.37
H  2.37  -0.80  -1.37
H  -0.78  -2.02  -1.75
H  -3.78  0.89  1.61
H  -5.61  -0.20  0.46
H  -5.17  -1.89  -1.30
H  -4.42  -3.76  -2.22
H  -3.13  -4.40  -1.18
H  -2.94  -4.40  -2.96
H  1.48  2.18  -0.47
H  3.71  3.23  -0.31
H  5.57  1.96  0.75
H  5.14  -0.31  1.63
H  2.29  -3.33  2.25
H  2.17  -3.06  0.51
H  1.07  -2.20  1.62
N  -1.11  5.45  -2.63
C  -1.07  4.46  -1.70
C  -0.77  4.72  -0.35
C  -0.73  3.68  0.54
N  -0.95  2.40  0.23
C  -1.24  2.16  -1.06
C  -1.30  3.12  -2.04
H  -1.04  6.41  -2.35
H  -1.42  5.26  -3.56
H  -0.58  5.73  -0.01
H  -0.49  3.89  1.57
H  -1.44  1.12  -1.32
H  -1.54  2.84  -3.05

~~~~~

a.
2 unconnected molecules or ions with the total composition C5H14. Source: OMol25; level of theory: ωB97M-V/def2-TZVPD.

Output
SMILES string   CCC.CC
Frontier orbital gap   12.26 eV

Positions of all 19 atoms, in Å:
1 C 0.09 0.17 -1.46
2 C -0.59 -1.12 -1.91
3 C -0.85 1.35 -1.67
4 H 0.20 0.09 -0.38
5 H 1.09 0.31 -1.87
6 H -0.30 -1.41 -2.93
7 H -1.68 -1.03 -1.94
8 H -0.36 2.30 -1.43
9 H -1.26 1.46 -2.67
10 H -0.38 -2.00 -1.29
11 H -1.69 1.30 -0.98
12 C 0.17 0.20 2.71
13 C 1.31 -0.47 1.93
14 H -0.56 -0.58 2.93
15 H 0.49 0.51 3.71
16 H -0.36 0.90 2.06
17 H 2.13 0.19 1.70
18 H 0.87 -0.84 1.00
19 H 1.68 -1.34 2.48

***

b.
2 unconnected molecules or ions with the total composition C5H14. Source: OMol25; level of theory: ωB97M-V/def2-TZVPD.

Output
SMILES string   CCC.CC
Frontier orbital gap   12.17 eV

Positions of all 19 atoms, in Å:
1 C -0.34 0.61 1.54
2 C -1.68 0.98 0.94
3 C -0.27 0.05 2.98
4 H 0.03 -0.13 1.01
5 H 0.44 1.47 1.53
6 H -2.09 1.78 1.54
7 H -2.39 0.15 0.85
8 H -0.31 0.81 3.76
9 H -1.27 -0.59 3.21
10 H -1.55 1.28 -0.07
11 H 0.70 -0.41 3.06
12 C 0.46 -0.93 -2.87
13 C 1.72 -0.51 -2.24
14 H 0.37 -0.73 -3.97
15 H 0.26 -2.06 -2.79
16 H -0.46 -0.28 -2.45
17 H 2.46 -1.33 -2.33
18 H 1.63 -0.43 -1.13
19 H 2.29 0.29 -2.56

***

Short version: b is the least stable of them.

***

a.
2 unconnected molecules or ions with the total composition C5H14. Source: OMol25; level of theory: ωB97M-V/def2-TZVPD.

Output
SMILES string   CCC.CC
Frontier orbital gap   12.20 eV

Positions of all 19 atoms, in Å:
1 C -0.03 -2.57 -0.64
2 C -1.10 -2.14 0.36
3 H -0.45 -2.66 -1.62
4 H 0.72 -1.75 -0.72
5 H 0.58 -3.46 -0.42
6 H -1.29 -1.07 0.28
7 H -0.94 -2.36 1.40
8 H -2.12 -2.49 0.21
9 C 0.85 1.69 0.43
10 C 0.93 1.74 -1.13
11 C -0.53 1.61 1.05
12 H 1.53 0.85 0.64